Updated: August 11, 2022 by Kristen Chapple
-- Misplaced materials data --
+++
# CsLiMg6O7 PBE relaxed
data_CsLiMg6O7
_cell_length_a 4.152
_cell_length_b 4.152
_cell_length_c 12.131
_cell_angle_alpha 90.00
_cell_angle_beta 90.00
_cell_angle_gamma 90.00
_symmetry_space_group_name_H-M 'P 1'
_symmetry_Int_Tables_number 1
loop_
_symmetry_equiv_pos_as_xyz
'x,y,z'
loop_
_atom_site_label
_atom_site_type_symbol
_atom_site_fract_x
_atom_site_fract_y
_atom_site_fract_z
O1 O 0.000 0.000 0.671
O2 O 0.000 0.500 0.113
O3 O 0.500 0.000 0.487
O4 O 0.500 0.500 0.672
O5 O 0.500 0.500 0.310
O6 O 0.000 0.500 0.487
O7 O 0.500 0.000 0.113
Mg1 Mg 0.000 0.000 0.494
Mg2 Mg 0.500 0.500 0.476
Mg3 Mg 0.000 0.500 0.663
Mg4 Mg 0.000 0.500 0.271
Mg5 Mg 0.500 0.000 0.663
Mg6 Mg 0.500 0.000 0.271
Li1 Li 0.000 0.000 0.100
Cs1 Cs 0.500 0.500 0.957
# Excess energy over the best structure of this formula in the dataset in meV/atom: 0
# Crystal system: tetragonal
# Space group: P4mm, No. 99

# Cs4LiPb4O6 PBE relaxed
data_Cs4LiPb4O6
_cell_length_a 8.303
_cell_length_b 8.050
_cell_length_c 8.303
_cell_angle_alpha 114.21
_cell_angle_beta 111.95
_cell_angle_gamma 103.65
_symmetry_space_group_name_H-M 'P 1'
_symmetry_Int_Tables_number 1
loop_
_symmetry_equiv_pos_as_xyz
'x,y,z'
loop_
_atom_site_label
_atom_site_type_symbol
_atom_site_fract_x
_atom_site_fract_y
_atom_site_fract_z
O1 O 0.503 0.750 0.753
O2 O 0.262 0.757 0.016
O3 O 0.002 0.250 0.752
O4 O 0.751 0.942 0.217
O5 O 0.775 0.558 0.809
O6 O 0.758 0.743 0.504
Cs1 Cs 0.041 0.029 0.994
Cs2 Cs 0.542 0.013 0.534
Cs3 Cs 0.022 0.487 0.529
Cs4 Cs 0.465 0.471 0.012
Pb1 Pb 0.030 0.534 0.002
Pb2 Pb 0.968 0.966 0.497
Pb3 Pb 0.551 0.525 0.520
Pb4 Pb 0.496 0.975 0.026
Li1 Li 0.709 0.750 0.959
# Excess energy over the best structure of this formula in the dataset in meV/atom: 0
# Crystal system: monoclinic
# Space group: C2, No. 5

# Cs4LiPb4O6 PBE relaxed
data_Cs4LiPb4O6
_cell_length_a 8.143
_cell_length_b 8.103
_cell_length_c 8.143
_cell_angle_alpha 111.05
_cell_angle_beta 115.24
_cell_angle_gamma 102.55
_symmetry_space_group_name_H-M 'P 1'
_symmetry_Int_Tables_number 1
loop_
_symmetry_equiv_pos_as_xyz
'x,y,z'
loop_
_atom_site_label
_atom_site_type_symbol
_atom_site_fract_x
_atom_site_fract_y
_atom_site_fract_z
O1 O 0.251 0.751 0.997
O2 O 0.747 0.514 0.766
O3 O 0.746 0.749 0.501
O4 O 0.752 0.986 0.233
O5 O 0.436 0.750 0.686
O6 O 0.014 0.250 0.764
Cs1 Cs 0.956 0.447 0.503
Cs2 Cs 0.978 0.984 0.996
Cs3 Cs 0.512 0.516 0.993
Cs4 Cs 0.556 0.053 0.509
Pb1 Pb 0.526 0.540 0.507
Pb2 Pb 0.036 0.526 0.997
Pb3 Pb 0.971 0.974 0.509
Pb4 Pb 0.467 0.960 0.986
Li1 Li 0.228 0.750 0.478
# Excess energy over the best structure of this formula in the dataset in meV/atom: 70
# Crystal system: monoclinic
+++
Seaweed is quite tasty and extremely healthy for us and they come in a few varieties that are edible. We know that cats wouldn’t probably eat these if they were in the wild, but can cats eat seaweed? Or is it even good for them in any way? Let us find out together!
Nutritional Value
Most human foods that aren’t meat offer only a little nutritional value to a cat or none at all, but seaweed is quite different in this category. Just as it is really healthy for us, it also provides your cat with many health benefits.
The nutrients found in seaweed can be soothing to a cat’s stomach and they act as an antacid, neutralizing the acidity that gives heartburn or indigestion. You might find it described as a “worming herb” in some places and that only means that it is used to prevent the development of worms or to help get rid of them. The coating of a cat which eats seaweed can be improved and it also seems to help with some of their allergies.
You might already consider it a miracle food by now, but we aren’t done yet as there are some other benefits as well! Seaweeds were shown to attack cancer cells and to keep the levels of glucose in the blood at a low level so red, brown as well as green seaweeds are quite a good choice for your cat, each coming with their own contents of vitamins and other nutritional elements. Kelp is a great option, dulse, kombu, wakame and nori are all great options when it comes to the addition of some seaweed to your pet’s menu.
How to Serve Them
<<<
No. 1
Material: Na7Zn3GeP5SO24
Method: DFT, PBE
State: optimized geometry

```
Na7Zn3GeP5SO24
1.0
-6.376 5.747 2.554
-2.251 -8.083 -3.099
0.917 -8.230 20.260
O P Zn Na Ge S
72 15 9 21 3 3
Direct
0.358 0.870 0.577
0.123 0.500 0.862
0.814 0.992 0.412
0.670 0.152 0.745
0.513 0.352 0.424
0.185 0.990 0.911
0.852 0.367 0.922
0.480 0.364 0.141
0.640 0.113 0.143
0.038 0.810 0.692
0.847 0.320 0.247
0.522 0.902 0.361
0.811 0.812 0.911
0.635 0.485 0.921
0.700 0.170 0.028
0.834 0.028 0.084
0.188 0.182 0.414
0.966 0.800 0.082
0.196 0.168 0.082
0.377 0.482 0.361
0.102 0.630 0.359
0.637 0.512 0.639
0.355 0.495 0.076
0.692 0.530 0.523
0.020 0.218 0.191
0.806 0.789 0.305
0.140 0.452 0.977
0.689 0.530 0.248
0.310 0.492 0.759
0.975 0.169 0.585
0.135 0.641 0.078
0.974 0.184 0.302
0.875 0.516 0.142
0.550 0.684 0.978
0.212 0.023 0.307
0.189 0.971 0.191
0.853 0.522 0.749
0.000 0.817 0.413
0.317 0.833 0.254
0.370 0.871 0.863
0.815 0.027 0.805
0.506 0.646 0.577
0.470 0.305 0.025
0.757 0.948 0.692
0.319 0.447 0.477
0.834 0.802 0.583
0.510 0.151 0.922
0.507 0.862 0.077
0.178 0.686 0.759
0.551 0.862 0.476
0.842 0.494 0.424
0.526 0.682 0.253
0.501 0.627 0.862
0.137 0.498 0.577
0.512 0.819 0.761
0.311 0.860 0.978
0.485 0.128 0.635
0.831 0.300 0.527
0.015 0.195 0.911
0.459 0.152 0.523
0.481 0.164 0.247
0.161 0.469 0.254
0.834 0.528 0.025
0.982 0.790 0.809
0.205 0.031 0.584
0.186 0.231 0.695
0.144 0.693 0.475
0.878 0.360 0.642
0.485 0.339 0.748
0.783 0.808 0.194
0.215 0.199 0.811
0.645 0.158 0.426
0.636 0.976 0.419
0.666 0.623 0.582
0.341 0.367 0.419
0.012 0.707 0.753
0.626 0.662 0.919
0.377 0.335 0.082
0.668 0.042 0.083
0.034 0.374 0.919
0.029 0.660 0.418
0.957 0.334 0.584
0.299 0.305 0.754
0.343 0.964 0.919
0.953 0.620 0.083
0.298 0.998 0.250
0.692 0.993 0.752
0.668 0.335 0.687
0.997 0.002 0.847
0.336 0.668 0.013
0.009 0.009 0.354
0.331 0.658 0.510
0.658 0.324 0.177
0.993 0.000 0.662
0.008 0.998 0.146
0.331 0.674 0.329
0.293 0.958 0.081
0.040 0.335 0.079
0.324 0.295 0.911
0.695 0.675 0.418
0.648 0.638 0.748
0.664 0.705 0.079
0.007 0.640 0.250
0.995 0.012 0.498
0.334 0.672 0.668
0.672 0.959 0.584
0.975 0.678 0.911
0.988 0.001 0.994
0.671 0.326 0.334
0.367 0.360 0.253
0.034 0.701 0.587
0.332 0.672 0.163
0.655 0.309 0.829
0.992 0.354 0.749
0.627 0.000 0.251
0.293 0.339 0.587
0.326 0.020 0.413
0.335 0.674 0.817
0.680 0.340 0.481
0.667 0.329 0.980
0.001 0.296 0.249
0.378 0.046 0.581
0.703 0.704 0.250
```

- Energy of formation from the pure elements: -2.3770 eV/atom
- V: 12.3 A^3/atom
- VASP energy: -6.063 eV per atom

***

No. 2
Material: NaZnGe3P3S3O24
Method: DFT, PBE
State: optimized geometry

```
NaZnGe3P3S3O24
1.0
-3.419 -3.721 -6.757
8.321 -0.355 1.274
-2.708 -18.374 11.506
O Ge S Zn P Na
72 9 9 3 9 3
Direct
0.617 0.105 0.141
0.164 0.971 0.908
0.025 0.839 0.411
0.485 0.111 0.638
0.294 0.835 0.252
0.828 0.796 0.307
0.350 0.854 0.573
0.189 0.168 0.089
0.968 0.798 0.807
0.168 0.188 0.411
0.546 0.840 0.474
0.168 0.973 0.193
0.835 0.542 0.026
0.840 0.823 0.592
0.025 0.190 0.909
>>>
With anything that is healthy you shouldn’t necessarily go overboard. Seaweeds are good for your cat but there are many other things they need for a balanced diet which cannot be found in them. You might find some products with seaweeds designed specifically for your cat or if you buy the ones you find in a supermarket you should keep them as a treat of a few leaves only, depending on the weight of your pet.
(Calculated crystals, kept here for reference)
/*
Below is an optimized crystal structure of Tm2Ni21B6, with properties calculated at the r2SCAN level.

Summary:
As for the calculated formation energy: -0.341 eV/atom. Its space-group type is No. 225.

a b c (Å): 7.453 7.453 7.453
angles (deg): 60.00 60.00 60.00
Atoms (fractional coordinates):
Tm1 0.250 0.250 0.250
Tm2 0.750 0.750 0.750
Ni1 0.838 0.387 0.387
Ni2 0.162 0.613 0.613
Ni3 0.613 0.613 0.613
Ni4 0.613 0.613 0.162
Ni5 0.387 0.838 0.387
Ni6 0.663 0.337 0.000
Ni7 0.000 0.337 0.663
Ni8 0.387 0.387 0.387
Ni9 0.000 0.000 0.337
Ni10 0.000 0.000 0.663
Ni11 0.000 0.337 0.000
Ni12 0.663 0.000 0.337
Ni13 0.337 0.000 0.000
Ni14 0.000 0.663 0.000
Ni15 0.337 0.000 0.663
Ni16 0.000 0.663 0.337
Ni17 0.337 0.663 0.000
Ni18 0.613 0.162 0.613
Ni19 0.000 0.000 0.000
Ni20 0.663 0.000 0.000
Ni21 0.387 0.387 0.838
B1 0.730 0.730 0.270
B2 0.730 0.270 0.730
B3 0.270 0.730 0.730
B4 0.270 0.270 0.730
B5 0.270 0.730 0.270
B6 0.730 0.270 0.270

* * * * *

# PbS

A relaxed PbS crystal (GGA-PBE, the Materials Project database).

a b c (Å): 6.1459 6.2774 7.0039
angles (deg): 90.00 90.00 90.00
With the nearest neighbours (Å) after each atom.
Positions (direct):
Pb (0.3054, 0.0009, 0.2500)  3 S 2.61-2.71
S (0.7531, 0.4121, 0.7500)  2 Pb 2.61-2.66
S (0.0000, 0.8604, 0.5000)  4 Pb 2.71-2.82
Pb (0.6946, 0.0009, 0.7500)  3 S 2.61-2.71
Pb (0.1644, 0.5465, 0.7500)  3 S 2.66-2.82
S (0.0000, 0.8604, 0.0000)  4 Pb 2.71-2.82
S (0.2469, 0.4121, 0.2500)  2 Pb 2.61-2.66
Pb (0.8356, 0.5465, 0.2500)  3 S 2.66-2.82

The formation energy from the elements comes out at -59.4 kJ per mole of atoms. The calculated total energy is -34.3 eV per cell. The total magnetic moment comes out at 0.00 μB per formula unit. The energy with MP2020 corrections comes out at -4.54 eV per atom.
*/
Most cats seem to adore the taste of seaweed but make sure you don’t serve them something that is too old. As a rule of thumb, if you wouldn’t eat it then don’t give it to your cat either. Make sure the sources you get them from are sustainable because heavy metals, pesticides, herbicides, fuel oil, other bacteria and many other risks can transform seaweed into something that isn’t so healthy anymore.
Short Answer:
Yes they are really healthy for cats as well but the quantities should be kept appropriate for the pet’s size as they shouldn’t replace their regular diet.